August 12, 2020
AI Infrastructure on Kubernetes

The rise in usage of cloud computing resources and container management platforms for executing AI (Artificial Intelligence) and ML (Machine Learning) workloads has led many engineers and companies to question the suitability and effectiveness of Kubernetes' resource management and scheduling to meet the growing requirements of these workloads.

So why's that? What patterns, architectures, and procedures has led these companies and engineers to this problem of scaling ML platforms on Kubernetes? And what kind of solution could we apply to help solve those problems?

To begin with, some of the typical machine learning and deep learning frameworks, such as Spark, Flink, Kubeflow, FfDL, Meltano etc., require multiple learners or executors to be concurrently scheduled and started in order for the application to be able to run.

Someone pasted quantum chemistry results at this point =
- - -
Molecular formula: C28H112N56O28
Method: DFT, the ωB97M-V functional and the def2-TZVPD basis

Structure (XYZ):
```
224
Properties=species:S:1:pos:R:3:forces:R:3
C -2.6474 2.7031 2.6528 -1.1 -0.6 0.9
O -3.1748 2.8208 1.5144 1.4 0.1 1.6
N -1.4221 3.2143 3.0375 0.3 0.6 -1.9
N -3.3013 2.0621 3.7234 1.6 1.1 -1.1
H -0.7805 3.6656 2.3253 -1.0 -0.5 0.8
H -1.1021 3.1705 3.9939 -0.5 0.1 0.0
H -4.0307 1.4074 3.5803 -0.9 -0.3 -0.5
H -2.7346 1.8170 4.5217 0.2 0.1 0.2
C -0.1427 2.4583 -3.7148 -1.0 0.0 -1.8
O -0.9756 3.2115 -3.1954 0.5 0.4 0.7
N 0.7139 2.9575 -4.6504 1.2 -1.7 -0.3
N -0.2986 1.0984 -3.6403 2.8 -0.6 0.3
H 1.3140 2.2523 -5.1536 -0.8 1.4 1.0
H 1.0315 3.9276 -4.5357 -0.1 -0.2 -0.1
H -0.8677 0.8376 -2.8361 0.2 -0.1 -0.3
H 0.6595 0.5785 -3.7029 -2.4 1.0 0.1
C 4.7569 -1.1759 1.9742 -1.3 -1.5 -0.8
O 4.6432 -1.9906 1.0207 0.5 0.8 0.2
N 5.6690 -0.1736 1.9597 0.2 0.4 -0.6
N 3.9090 -1.3241 3.0201 0.6 0.1 -0.7
H 5.4134 0.6130 2.5305 0.2 0.4 0.2
H 6.0485 0.0820 1.0283 -0.4 -0.5 1.1
H 3.1625 -1.9975 2.9418 0.1 -0.4 -0.3
H 3.9264 -0.7798 3.8489 0.2 0.5 0.7
C -5.1423 -4.8521 0.1927 -2.3 0.3 1.6
O -6.1918 -5.0397 -0.4596 1.4 0.0 -0.4
N -3.8772 -4.9930 -0.2480 0.6 -0.4 -1.2
N -5.2842 -4.4853 1.5349 0.1 -0.3 -1.5
H -3.1990 -4.5224 0.3153 0.4 0.1 0.0
H -3.6380 -5.1222 -1.2498 -0.6 0.3 1.3
H -4.5033 -4.4627 2.1806 -0.2 0.2 -0.1
H -6.2393 -4.2398 1.7873 0.4 0.0 0.1
C 7.0698 4.1384 -2.3971 1.3 -3.4 2.2
O 6.3122 5.0553 -2.4855 -1.2 2.3 -0.9
N 8.4162 4.2756 -1.9412 -1.9 -0.6 -0.5
N 6.6238 2.8219 -2.4176 1.3 0.6 -0.2
H 8.9046 3.4086 -1.8056 0.2 -0.3 -0.1
H 8.9259 4.9324 -2.4707 0.6 0.9 -0.4
H 5.6791 2.4922 -2.6180 0.0 0.4 0.0
H 7.3417 2.1115 -2.4052 -0.1 0.0 0.1
C -4.1892 -0.7711 -0.1210 -2.4 -0.5 0.1
O -3.6046 -1.8285 -0.3630 0.4 0.7 -0.2
N -3.6618 0.4825 -0.0434 0.2 -1.0 0.1
N -5.5756 -0.8100 0.0431 0.7 0.1 -0.2
H -4.1234 1.1261 0.5984 0.3 0.0 -0.2
H -2.6873 0.3324 0.1270 1.0 0.7 0.2
H -5.8915 -1.7842 0.0042 -0.3 0.7 0.6
H -5.9342 -0.1266 0.7213 -0.2 -0.9 -0.3
C 0.3606 0.3158 0.6107 -0.5 -2.0 2.1
O -0.6213 -0.4319 0.6460 -0.5 -0.4 -0.4
N 0.3515 1.4673 -0.0080 -0.7 3.7 -1.1
N 1.4740 -0.0088 1.3368 1.0 0.0 -0.3
H -0.5434 1.9717 -0.1135 0.4 -1.0 -0.1
H 1.0211 2.1869 0.2532 0.5 -0.5 0.0
H 2.2316 0.6872 1.3028 -0.1 -0.7 0.0
H 1.6981 -1.0173 1.3859 -0.3 1.1 0.1
C -8.3894 -0.4573 -2.8984 -2.5 -1.5 -2.1
O -8.4346 -1.7034 -2.7452 0.4 1.6 0.0
N -9.2550 0.1076 -3.8862 1.4 -0.9 2.1
N -7.6618 0.3730 -2.1822 0.6 -1.4 1.4
H -9.2014 1.0772 -4.1125 0.1 0.2 -0.4
H -9.4906 -0.5904 -4.5561 -0.3 0.1 -0.6
H -7.0276 -0.0919 -1.5371 0.0 0.4 0.1
H -7.4731 1.2926 -2.4417 0.5 1.4 -0.6
C 3.8233 3.4269 1.1300 -0.4 -1.2 -1.7
O 3.2428 2.3401 0.8874 0.3 0.5 0.8
N 4.0877 3.9729 2.2954 -0.9 -1.3 2.0
N 4.2627 4.2025 0.1114 0.7 1.1 0.0
H 3.5900 3.5480 3.0745 0.5 0.5 0.0
H 4.3969 4.9313 2.2868 -0.2 0.4 0.5
H 4.5407 3.6816 -0.6877 0.2 -0.2 -0.9
H 4.9123 4.9323 0.4388 -0.5 -0.4 -0.9
C 1.3495 -3.4209 0.8055 -0.1 0.8 0.1
O 1.6344 -3.2597 2.0049 -0.3 0.0 0.3
N 2.0778 -2.7510 -0.1100 0.3 -0.2 -0.9
- - -

Furthermore, co-locating these workers on the same node, or placing them on topologically close nodes, say by zone or region, is supposed to minimize the communication delays of large data sets. More recent trends show tendency towards massively parallel and elastic jobs, where a large number of short running tasks (minutes, seconds, or even less) is spawned to consume the available resources.

The more resources that can be dedicated to start more parallel tasks, the faster the job will finish! In the end, the amount of consumed resources is going to be more or less the same, but it is the overall job response time that is going to be slowed if the allocated resources are constrained.

New use cases have also emerged where developers use these frameworks to gain insights by performing interactive exploration of data. For example a data scientist using a Jupyter notebook may issue commands to start a ML job to analyze a big data set waiting for the results to start a subsequent processing job, in an interactive session.

Managing Jobs and Tasks

When dealing with millions of AI/ML jobs submitted on daily or even hourly basis, high variability in the demand for resources is created.

Some of these jobs may arrive almost simultaneously, creating a backlog of work, and require an arbitration policy that decides which job goes first given the current cloud resources available.

These priorities, service classes, user quotas, and more constraints enable the formulation of meaningful policies, from users' perspectives, and linking those policies to a charging model.

For scarce resources, such as GPUs and TPUs, the ability to buffer and prioritize jobs, as well as enforcing quotas, becomes crucial. Note that whole jobs, as opposed to individual tasks, is the subject of queuing and control, since it does not make much sense to focus only on individual tasks, as the partial execution of tasks from multiple jobs may lead to partial deadlocks, and many jobs may be simultaneously active while none is able to proceed to completion.

Stuck on Cloud 9

Cloud computing companies are real companies too.

The reality that cloud computing operators face is having to operate profitable businesses that offer reasonable pricing of offered resources and services.

These prices cannot be reasonable if the cloud provider has to own seemingly infinite resources. In fact, minimizing their cost starts with operating their physical resources (hardware) at higher utilization points. Luckily, the common wisdom phrase did not state that the cloud is the limit but rather that the sky is.

At the cluster level, cluster owners may request to expand or shrink their cluster resources, and all providers offer the ability to do that. However, response times vary; typically, it is on the order of minutes, and depends on how many additional worker nodes are being added.

In the case of bare-metal machines with special hardware configuration, like certain GPU type for example, it may take longer to fulfill a cluster scale up request, and come with an increased chance of failure.

While cluster scaling is a useful mechanism for longer capacity planning, cluster owners cannot rely on this mechanism to respond to instantaneous demand fluctuations induced by resource hungry AI and ML workloads.

More Clouds, More Clusters, More Problems

The typical enterprise today is using services from multiple cloud providers. An organization owning and operating many Kubernetes clusters is not uncommon today.

Smaller clusters are easier to manage, and in the case of failure, the blast radius of impacted applications and users is limited. This is why a sharded, multi-cluster architecture appeals to both service providers and operations teams.

This architecture creates an additional management decision that needs to be made when running a certain AI workload regarding where to run it; what cluster should this workload run on? A static assignment of users or application sets to clusters is too naive to efficiently utilize available multi-cluster resources.

Hybrid Cloud and Edge Computing

• Calculated molecules, as found in the file:
The following is a quantum chemistry calculation of a structure of composition C7H12, from the Open Molecules 2025 dataset.

As for the charge: 0. For the highest occupied orbital energy, the calculation gives -7.6449 eV. The relative energy (zero: lowest compared OMol25 entry of this formula, charge and spin) comes out at 472.3 kJ/mol. For the LUMO energy, the calculation gives 0.88 eV. The spin multiplicity is 1.

Each line ends with the Löwdin charge.
CARTESIAN COORDINATES (ANGSTROEM)
C 2.487883 0.317408 -0.833687  -0.11
C 1.191189 -0.483929 -0.757759  -0.24
C 0.303873 -0.122122 0.420303  -0.20
C -1.052819 1.513373 0.871001  0.06
C -1.953798 0.289040 0.912744  -0.33
C -2.113072 -0.377035 -0.413237  -0.09
C -1.030435 -0.831469 0.534854  -0.25
H 3.096889 -0.003279 -1.685198  0.07
H 3.087607 0.191508 0.075136  0.07
H 2.286079 1.387949 -0.954265  0.08
H 0.617061 -0.368516 -1.684813  0.11
H 1.416362 -1.557394 -0.667971  0.12
H 0.855596 -0.134469 1.362949  0.13
H -0.008546 1.063030 0.183598  0.06
H -0.621937 1.638765 1.882109  0.04
H -2.711761 0.208643 1.687828  0.13
H -2.937912 -1.072299 -0.542649  0.10
H -1.848885 0.193444 -1.302290  0.11
H -1.063372 -1.852645 0.911354  0.13

Cartesian forces, eV/Å:
0.05 0.05 0.00
-0.05 0.03 -0.06
0.04 -0.23 0.09
-0.04 -0.19 0.19
-0.08 0.07 0.08
-0.09 0.01 -0.16
0.12 -0.13 0.06
-0.09 0.05 0.14
-0.09 0.01 -0.12
0.00 -0.15 0.03
0.07 -0.02 0.10
-0.05 0.12 0.00
-0.09 0.05 -0.12
0.06 0.08 -0.07
-0.01 0.00 -0.17
0.12 0.04 -0.14
0.14 0.10 0.04
-0.02 -0.07 0.15
0.01 0.16 -0.04

* * * * *

[1]
Density functional theory data (ωB97M-V/def2-TZVPD) for an isolated molecule of C6H7FN2S.

Values from the calculation:
* ΔE to the lowest compared entry with this formula, charge and spin: 0.905 eV
* frontier orbital gap (alpha / beta): 0.3013 / 0.3014 Eh
* strongest force on any atom: 3.82 eV Å⁻¹
* highest occupied orbital energy (alpha / beta): -8.926 / -8.926 eV
* E_tot: -22864.718 eV

```
17
Properties=species:S:1:pos:R:3:forces:R:3
H -2.52691 -2.13151 1.24750 0.8 -0.3 0.1
N -1.86803 -1.59856 0.66643 1.9 1.4 0.7
N -0.72837 -1.41163 1.27967 -3.1 -1.1 -1.8
S -0.18351 -2.22613 2.56368 0.2 -0.5 1.0
C 0.21636 -0.38590 0.70328 -0.3 0.6 0.3
C 0.89260 -0.84188 -0.58475 0.6 1.0 -0.9
C 1.28106 0.02451 -1.57325 0.5 -2.0 1.7
C 0.86482 1.39640 -1.48452 0.4 1.8 -0.7
C -0.00696 1.86370 -0.55605 1.5 -1.9 -1.3
C -0.59955 0.88037 0.43203 0.7 0.6 -0.2
F -0.83291 1.58204 1.62392 -0.3 -0.7 -0.3
H 0.80798 -0.30130 1.65362 0.6 0.4 -1.5
H 1.10574 -1.87533 -0.72406 0.4 -0.7 0.4
H 2.06900 -0.29170 -2.33241 -1.6 0.3 0.8
H 1.35034 2.01153 -2.29555 -1.0 -0.1 1.2
H -0.34246 2.86965 -0.63096 -0.4 0.6 0.4
H -1.49918 0.43573 0.01142 -0.8 0.6 0.2
```
Forces are in eV/Å.


[2]
Density functional theory data (ωB97M-V/def2-TZVPD) for an isolated molecule of C6H7FN2S.

Values from the calculation:
* ΔE to the lowest compared entry with this formula, charge and spin: 0.315 eV
* frontier orbital gap (alpha / beta): 0.2685 / 0.2503 Eh

A scenario, which is often cited as an advantage of cloud computing, is the ability to pour over from private infrastructure into public cloud at times of unexpected or seasonal high demands.

While with traditional retail applications this seasonality may be well anticipated, on the other hand, with AI and ML workloads in general this need for offloading local resources or pouring into a public cloud may arise more frequently and at any time.

With resource hungry, large parallel jobs that could start at any moment, the need to instantaneously pour over from private to public cloud in a dynamically managed seamless way has become a real need of large enterprises, big data companies, and even for some startups.

Advancements in the field of IoT (Internet of Things) and the surge in use of devices and sensors at the edge of the network, has led to the emergence of Edge Computing as a new paradigm.

In this paradigm, the compute power is brought closer to data sources, where initial data analysis and learning steps may take place near the data generation sources, instead of the overhead of having to transfer enormous data streams all the way back to a centralized cloud computing location.

In some situations, this data streaming may not be feasible due to lack of availability of fast and reliable network connectivity, and hence the need for Kubernetes clusters at the edge of the network.

Can The Kubernetes Scheduler Handle Everything?

Now that we have covered the landscape of issues, as well as evolving runtime patterns, associated with executing AI workloads in the cloud, we can look at what the Kubernetes scheduler is good at addressing and what it is not suited for.

The scheduler is responsible for the placement of pods (the atomic unit of Kubernetes; you can think of it as a container on a machine) within a Kubernetes cluster. It is part and parcel of the Kubernetes architecture and it is good for placing pods on the right worker nodes, within a cluster, while maintaining constraints such as available capacity, resource requests and limits, and certain nodes.

A pod may represent a task in a job, a job itself, or an executor in which multiple tasks may be executed by the AI/ML framework. Discussing these different execution models for frameworks and the pros and cons of each is way beyond the scope of this article.

What the Kubernetes scheduler cannot do is managing jobs holistically. It is quite obvious in the multi-cluster and hybrid scenarios that a scheduler sitting within a single cluster cannot have the global view to dispatch jobs to multiple clusters.

Even in single cluster environments, it lacks the ability to manage jobs, and instead jobs have to be broken down, immediately as soon as they are received by the Kubernetes API server, to their constituting pods and submitted to the scheduler.

This may cause a problem of excessive numbers of pending pods, in times of high demand, which may overwhelm the scheduler other controllers, and the underlying etcd persistence layer, which slows down the overall cluster performance significantly.

A Solution

All the above indicates that something is missing in the overall approach to resource management of AI/ML workloads in Kubernetes based environments, and suggests that the best way to manage such workloads is to follow a two-level resource management approach that is "Kube-native".

So what's kube-native?

Something is kube-native if it is built as a Kubernetes extension using the extensible frameworks that it offers. Any new resource management component should be realized as a Kubernetes operator. In addition, the API that manages the AI/ML workflows and mechanisms, which is exposed to end users and admins, should be a seamless extension of the Kubernetes API. Users and admins should be able to use the standard kubectl cli, for example, to manage the AI/ML workflow life-cycle.

Second, what are the two levels of resource management?

(Attached: molecular data)
┌──
Record 1
Computed, not measured: a molecular structure, C39H28BrN6PtS3, with ωB97M-V/def2-TZVPD.

Values from the calculation:
* frontier orbital gap (spin up / spin down): 4.6577 / 5.7470 eV
* relative energy (zero: lowest compared OMol25 entry of this formula, charge and spin): 10.3 kcal per mole
* total charge: +1
* E_LUMO (spin up / spin down): -3.12 / -4.21 eV
* maximum force: 0.015 hartree/bohr
* E_tot: -5719.17210 hartree
* HOMO energy (spin up / spin down): -7.77 / -9.96 eV
* 2S+1: 3

```
78
Properties=species:S:1:pos:R:3:mulliken_spin:R:1
Pt 0.616 0.838 0.450 0.564
S 1.520 1.914 7.368 0.002
C 2.540 3.239 7.714 0.030
C 2.986 3.837 6.578 -0.014
C 2.489 3.210 5.406 0.038
C 1.672 2.143 5.664 -0.055
C 0.984 1.256 4.720 0.067
C 1.133 1.432 3.365 0.075
N 0.512 0.668 2.447 0.150
C -0.280 -0.381 2.858 0.145
C -0.472 -0.632 4.238 -0.018
C -1.327 -1.743 4.597 0.001
C -1.922 -2.507 3.661 -0.027
C -1.726 -2.255 2.251 0.024
C -2.293 -3.003 1.246 0.077
C -2.048 -2.707 -0.116 0.094
C -1.213 -1.637 -0.389 -0.011
N -0.651 -0.893 0.567 0.307
C -0.886 -1.170 1.893 0.118
C -2.637 -3.494 -1.204 -0.046
C -2.521 -3.327 -2.559 0.039
C -3.233 -4.299 -3.310 -0.018
C -3.887 -5.189 -2.517 0.033
S -3.638 -4.857 -0.861 0.003
C 0.147 0.189 5.152 0.138
H 2.755 3.500 8.737 0.001
H 3.647 4.692 6.574 0.000
H 2.744 3.545 4.409 0.003
H 1.788 2.203 2.977 0.021
H -1.477 -1.945 5.651 0.000
H -2.559 -3.335 3.947 -0.001
H -2.931 -3.838 1.509 0.018
H -0.979 -1.366 -1.412 0.016
H -1.942 -2.538 -3.022 0.003
H -3.255 -4.331 -4.390 0.001
H -4.499 -6.025 -2.813 0.002
H 0.000 0.008 6.210 0.019
Br 7.250 0.343 0.712 0.001
C 5.364 0.442 0.635 0.003
C 4.606 -0.660 0.998 -0.001
C 3.220 -0.584 0.938 0.032
C 2.606 0.585 0.514 0.127
C 3.375 1.684 0.143 -0.032
C 4.762 1.616 0.212 0.011
H 5.092 -1.567 1.331 0.000
H 2.628 -1.441 1.238 0.002
H 2.915 2.601 -0.210 0.011
H 5.367 2.467 -0.070 0.001
S 0.602 0.667 -6.176 0.000
C 0.644 0.745 -4.397 0.002
C 1.431 -0.125 -3.653 0.001
C 1.444 -0.021 -2.277 0.011
N 0.720 0.898 -1.620 0.013
C -0.030 1.748 -2.335 0.006
C -0.092 1.704 -3.713 0.001
C -0.571 -0.679 -6.322 0.000
C -1.929 -0.415 -6.383 0.000
C -2.797 -1.493 -6.492 0.000
N -2.391 -2.759 -6.543 0.000
C -1.082 -2.995 -6.499 0.000
C -0.128 -1.991 -6.392 0.000
H 2.032 -0.880 -4.139 0.000
H 2.047 -0.683 -1.672 0.000
H -0.586 2.490 -1.780 -0.001
H -0.714 2.408 -4.247 0.000
H -2.304 0.599 -6.355 0.000
H -3.868 -1.331 -6.542 0.000
H -0.779 -4.034 -6.555 0.000
H 0.927 -2.227 -6.375 0.000
N -1.070 3.553 1.330 0.018
C -2.059 4.436 1.100 0.002
C -2.971 3.810 0.284 0.001
C -2.444 2.524 0.086 -0.007
N -1.292 2.376 0.727 -0.003
H -0.284 3.654 1.952 0.002
H -2.045 5.426 1.525 0.000
H -3.895 4.209 -0.096 0.000
H -2.862 1.700 -0.472 0.001
```

***

Record 2
Computed, not measured: a molecular structure, C39H28Cl5FMoN9O7S, with ωB97M-V/def2-TZVPD.

Values from the calculation:
* frontier orbital gap (spin up / spin down): 4.7640 / 4.9688 eV
└──

The first level is the existing scheduler level.

As explained above, a scheduler responsible for the placement of pods within each Kubernetes cluster is needed for placing pods, or sometimes groups of pods together, on the right nodes, while maintaining constraints such as co-location, co-scheduling, etc.

Your vanilla scheduler does not do all of that, but you can replace it by a scheduler that does all or some of these functions. Several open source schedulers are available, like Volcano, YuniKorn, and Safe Scheduler. Each of these schedulers addresses some of these requirements.

The second level, or the higher level resource manager, is responsible for queuing and dispatching of the AI/ML jobs, and enforcement of user quotas.

Every job submitted to the system is received and queued for execution by the second level resource manager.

It has the responsibility to decide when to release the job to be served, and where that job should be served, i.e., on which cluster. It implements policies that regulate the flow of jobs to the clusters, allocate resources to jobs at coarse granularity level, and realize the SLA differentiation imposed by priorities or classes of service.

The important thing to note about the resource manager is that it operates on the job level, not the task or pod level, hence the lower lever (first level) schedulers, running in each cluster, are not overwhelmed with pending pods that should not be executed yet. Also, once a decision is made to execute a job, its corresponding resources, including its pods, are created only on the selected target cluster, at that moment.

In order to perform its job properly and be able to make these decisions, the second level resource manager needs to tap into the resource monitoring streams on the target clusters.

Coupled with the right policy configurations, this pattern is capable of queuing and dispatching jobs properly. Depending on implementation details, the second level manager may require an agent on each target cluster to assist it in accomplishing its goals. The agent would receive the dispatched job and locally create its corresponding pods, in this case, instead of the dispatcher creating them remotely.